
Our seminars are always delivered by specialists with knowledge of the latest practice, research and theories in the field. They play a crucial role in improving quality standards within the hospitality sector and creating new generations of professionals with the skills and knowledge to enjoy fulfilment and financial success within the industry.

We hold between 6 and 12  seminars annually in our target countries.

Our current seminar programme focuses on:

  • Business Culture
  • Business Ethics
  • Case Studies for Management of Education and Training
  • Culinary Art and International Guest Satisfaction
  • Destination Marketing focusing on local and specialised products
  • Food and Beverage Management
  • Merchandising and Upselling: Food and Beverage matching
  • Hotel Operations, Tactics and Strategy (HOTS)
  • Revenue Management in Hotels and Restaurants
  • Service Quality and Cultural Dimensions of Service Quality
  • Service Quality and Successful SMEs

Between two parts of the page: molecular data:
-- begin --
{"formula": "C7H9N2O", "method": "wB97M-V/def2-TZVPD", "gap_ev": [6.14, 6.14], "homo_energy_ev": [-13.84, -13.84], "max_force_ev_per_a": 5.03, "multiplicity": 1, "total_energy_ev": -12421.765, "de_lowest_ev": 4.4428, "total_charge": 1, "symbols": ["O", "N", "N", "C", "C", "C", "C", "C", "C", "C", "H", "H", "H", "H", "H", "H", "H", "H", "H"], "positions_angstrom": [[-3.00925, 1.74219, 0.88139], [-0.83405, 2.62422, 0.64278], [-0.78139, 0.20808, 0.17624], [0.16366, -1.93492, 0.27883], [0.39777, 0.72251, 0.01005], [0.41355, 2.24357, 0.18506], [-1.93539, 2.05177, 0.62626], [-1.09496, -1.16590, 0.13906], [1.44871, 0.08933, -0.53701], [1.25437, -1.36258, -0.60731], [2.21552, -1.97667, -0.77034], [-1.79650, -1.29130, -0.69351], [0.74826, 2.68330, -0.79135], [0.47614, -1.77909, 1.31900], [0.84081, -1.40773, -1.64518], [-0.09621, -2.96846, 0.04251], [1.13223, 2.41028, 0.84682], [2.24536, 0.44909, -1.10112], [-1.78863, -1.33769, 0.99781]], "atomic_forces_ev_per_a": [[-1.4, -0.4, -0.3], [-1.9, 0.8, 0.0], [0.2, 0.0, -0.4], [0.5, -0.9, 0.3], [-2.2, 3.6, 1.0], [-2.3, -2.1, -3.6], [2.5, 1.4, 1.0], [-0.5, 1.0, 0.8], [-0.4, -5.0, -0.3], [1.3, -1.2, -1.2], [-1.4, 0.9, 0.6], [0.3, -0.3, -0.4], [-0.5, 0.0, 0.6], [0.0, -0.6, -0.1], [0.2, 0.1, -0.3], [0.8, -0.1, 0.3], [3.2, 1.3, 3.1], [1.3, 1.3, -0.6], [0.4, 0.1, -0.4]], "mulliken_charge": [-0.369, -0.471, -0.264, -0.644, 0.537, -0.630, 0.764, -0.552, -0.265, -0.552, 0.405, 0.397, 0.347, 0.309, 0.348, 0.361, 0.438, 0.494, 0.347]}

----------

A molecular structure, C12H12MoO8P3Se2. Source: the Open Molecules 2025 dataset; level of theory: wB97M-V/def2-TZVPD.

Element x y z (Å)
C -1.50764 0.56934 -2.95519
O 2.68106 2.10484 2.63701
C -3.17214 -0.64146 -4.23369
O 4.70886 -0.16236 -0.59859
H -3.85494 -2.49216 -3.37009
H -0.76654 -2.14006 1.88731
P -0.46544 -0.30826 -0.47439
O 2.64946 -0.16236 -2.18979
C -3.24504 -0.26806 3.25251
H -3.89754 -0.24906 4.11591
H -0.86054 1.42914 -2.85499
C -2.48634 0.71794 1.17531
O 3.90086 0.40984 3.77381
O 2.53016 -0.16236 1.58681
C -3.32884 0.74204 2.29071
C -2.32674 0.46164 -4.08379
C -2.38194 -1.53316 -2.12529
H -2.55974 1.50504 0.43531
O 4.66746 1.31794 1.49401
Se 0.81366 1.61994 -0.47929
C -1.55444 -0.31696 1.01471
H -3.80544 -0.72326 -5.10759
H -2.41094 -2.30966 -1.37129
H -2.30614 1.23354 -4.84219
Mo 2.64946 -0.16236 -0.47929
C -1.47444 -1.32986 1.98411
P 3.47246 0.71354 2.35681
Se 0.77366 -2.00066 -0.47929
H -4.04654 1.54354 2.40921
C -2.31854 -1.30296 3.09911
H -2.25444 -2.08506 3.84451
O 6.77736 -0.15506 1.05301
O 6.10816 1.75834 -0.39989
P 5.55606 0.49354 0.45871
H 5.49066 1.69524 -1.15039
H 2.97656 2.25724 3.55141
C -1.53154 -0.42926 -1.97079
C -3.19984 -1.63846 -3.25449

Charge: -1
Energy above the lowest of the compared OMol25 structures with the same formula, charge and spin (eV): 0.0000
LUMO level (spin up / spin down) (eV): 2.26 / 2.26
DFT total energy (eV): -189444.3999
Orbital gap (spin up / spin down) (Eh): 0.260 / 0.260
-- stop --
Back to the page:

Our seminar programme is coordinated by:

Dr Elizabeth Ineson, Visiting Research Fellow, Manchester Metropolitan University and Dr Kateryna Fedosova, Odesa National University of Technology

Intoduction to Benchmarking and Hotel Analytics

Date: October 15th 2019

Location: Slovenia

Hotel Industry Analytical Foundations; Hotel Math Fundamentals;

Property Level Benchmarking; Hotel Industry Performance Reports

Managing Human Capital plus Business Simulation Demonstrations

Date: October 14th 2019

Location: Slovenia

Employee relations; Work/Life balance; Workplace bullying; Employment ethics; Human trafficking; Stress management; Conflict resolution


Demonstrations of Revenue Management and Menu Engineering simulations

Cultural Impacts on Hospitality and Tourism Management

Date: October 1st 2019

## Someone pasted calculated molecules at this point
- - -
{
  "formula": "C29H66F5N11O7P",
  "method": "ωB97M-V with the def2-TZVPD basis set",
  "homo_energy_ev": -4.72,
  "gap_ev": 6.3323,
  "total_energy_ha": -3113.92858,
  "total_charge": -1,
  "symbols": ["C", "C", "C", "C", "N", "O", "P", "C", "C", "F", "C", "F", "F", "C", "F", "F", "O", "C", "C", "C", "C", "C", "C", "C", "C", "C", "C", "C", "C", "C", "C", "C", "C", "H", "H", "H", "H", "H", "H", "H", "H", "H", "H", "H", "H", "H", "H", "H", "H", "H", "H", "H", "H", "H", "H", "H", "H", "H", "H", "H", "H", "H", "H", "H", "H", "H", "H", "H", "H", "H", "H", "H", "H", "H", "H", "H", "H", "H", "H", "C", "O", "N", "N", "H", "H", "H", "H", "C", "O", "N", "N", "H", "H", "H", "H", "C", "O", "N", "N", "H", "H", "H", "H", "C", "O", "N", "N", "H", "H", "H", "H", "C", "O", "N", "N", "H", "H", "H", "H"],
- - -
## Here the text continues

Location: Poland

Cultural Impacts: Food and service culture; Cultural differences and values; Body language; Cultural tourism; Organisational cultural; Management issues and ethics 

Food Tourism: Trends and Developments

September 30th 2019

Location: Poland

Food Tourism: Food, restaurant & menu trends; Dietary needs & trends; Waste reduction action plan; Allergies & allergens; Food standards

Cultural Impacts on Hospitality and Tourism Management/Hotel Operations, Tactics and Strategy (HOTS)

Between two parts of the entry: calculated molecules:
=====
i.
Molecular formula: CH4NO3
Method: DFT, ωB97M-V with the def2-TZVPD basis set

Properties
HOMO-LUMO gap (spin up / spin down): 0.2897 / 0.2897 hartree
HOMO level (spin up / spin down): -3.190 / -3.189 eV

The geometry in ORCA input format:
```
! wB97M-V def2-TZVPD RIJCOSX def2/J DEFGRID3
* xyz -1 1
C 0.92 -0.06 -0.43
N -1.85 -0.23 0.52
O -1.76 0.82 -0.17
O 1.82 0.51 0.58
O 0.26 -1.02 0.16
H 0.25 0.83 -0.74
H 1.57 -0.27 -1.33
H -2.46 -1.01 -0.01
H 1.24 0.43 1.43
*
```

What are the Mulliken partial charges on each atom? They are as follows, in elementary charge units: atom 1 (C): 0.011, atom 2 (N): -0.005, atom 3 (O): -0.381, atom 4 (O): -0.533, atom 5 (O): -0.730, atom 6 (H): 0.065, atom 7 (H): 0.166, atom 8 (H): 0.126, atom 9 (H): 0.279

ii.
Molecular formula: CH4NO3
Method: DFT, ωB97M-V with the def2-TZVPD basis set

Properties
HOMO-LUMO gap: 0.3168 hartree
HOMO level: -4.339 eV

The geometry in ORCA input format:
```
! wB97M-V def2-TZVPD RIJCOSX def2/J DEFGRID3
* xyz -1 1
N -0.18 -0.91 -0.64
C -0.49 0.41 -1.11
O -1.16 0.46 -2.16
O -0.04 1.35 -0.40
H -0.34 -1.64 -1.31
H 0.69 -1.01 -0.14
H 0.31 0.78 1.22
H 0.36 -0.06 2.52
O 0.85 0.61 2.03
*
```

What are the Mulliken partial charges on each atom? They are as follows, in elementary charge units: atom 1 (N): -0.484, atom 2 (C): 0.638, atom 3 (O): -0.739, atom 4 (O): -0.816, atom 5 (H): 0.204, atom 6 (H): 0.199, atom 7 (H): 0.410, atom 8 (H): 0.291, atom 9 (O): -0.703

Stability ranking, top and bottom: ii is the most stable and i is the least stable.

i.
Molecular formula: C2H16N2O4
Method: DFT, ωB97M-V with the def2-TZVPD basis set

Properties
SMILES: NCCN.O.O.O.O
HOMO-LUMO gap: 0.3423 hartree
HOMO level: -9.155 eV

The geometry in ORCA input format:
```
! wB97M-V def2-TZVPD RIJCOSX def2/J DEFGRID3
* xyz 0 1
C -1.47 0.96 -2.66
C -2.04 -0.33 -2.11
N -0.99 -1.11 -1.42
N -2.35 2.13 -2.36
H -0.59 1.31 -2.12
H -1.35 0.85 -3.74
H -2.80 -0.16 -1.34
H -2.48 -0.95 -2.88
H -0.04 -0.77 -1.42
H -0.96 -2.05 -1.77
H -2.33 2.84 -3.08
H -3.34 1.95 -2.26
H 0.92 3.37 2.42
H 2.31 2.74 2.34
O 1.83 3.55 2.17
H 0.86 -2.35 2.47
H 2.13 -3.05 2.74
O 1.38 -2.67 3.22
H 4.08 -2.55 3.03
H 3.47 -1.37 2.39
O 3.86 -2.22 2.16
H 0.55 0.24 1.86
H -0.70 0.07 0.99
O 0.04 -0.41 1.37
*
```

What are the Mulliken partial charges on each atom? They are as follows, in elementary charge units: atom 1 (C): -0.188, atom 2 (C): -0.369, atom 3 (N): -0.516, atom 4 (N): -0.642, atom 5 (H): 0.196, atom 6 (H): 0.207, atom 7 (H): 0.217, atom 8 (H): 0.289, atom 9 (H): 0.208, atom 10 (H): 0.199, atom 11 (H): 0.219, atom 12 (H): 0.200, atom 13 (H): 0.317, atom 14 (H): 0.309, atom 15 (O): -0.625, atom 16 (H): 0.304, atom 17 (H): 0.361, atom 18 (O): -0.664, atom 19 (H): 0.338, atom 20 (H): 0.339, atom 21 (O): -0.692, atom 22 (H): 0.284, atom 23 (H): 0.308, atom 24 (O): -0.598

ii.
Molecular formula: C2H16N2O4
Method: DFT, ωB97M-V with the def2-TZVPD basis set

Properties
HOMO-LUMO gap: 0.1401 hartree
HOMO level: -9.011 eV
=====
Back to the entry:

Date: April 11th and April 12th 2019

Location: Albania

Cultural Impacts on Hospitality and Tourism Management: food and service culture; cultural differences and values; body language; cultural tourism; tolerance; respect; organisational culture; corporate culture; issues and ethics; cultural differences and management.

Hotel Operations, Tactics and Strategy (HOTS): HOTS can be used to develop the skills of students and hoteliers, for general business development (CPD), or to provide a platform for team-building and leadership training.  Delegates are introduced to HOTS which can enable decision-making to manage the revenue and operations of a hotel business for several years in a financially safe environment.

Trends in Food Tourism/Cultural Impacts on Hospitality and Tourism Management

Date: April 8th and April 9th 2019

Location: Macedonia

Trends in Food Tourism: food, restaurant and menu trends; dietary needs; WRAP (Waste Reduction Action Plan); allergies and allergens; product labelling and cross contamination; food standards; slow food; innovation.

Cultural Impacts on Hospitality and Tourism Management: food and service culture; cultural differences and values; body language; cultural tourism; tolerance; respect; organisational culture, corporate culture, issues and ethics; cultural differences and management.